• Source:
A 2-piece molecular cluster, C2H10N2O overall. Source: OMol25; level of theory: wB97M-V/def2-TZVPD.

ORCA input file:
```
! wB97M-V def2-TZVPD RIJCOSX def2/J DEFGRID3
* xyz 0 1
C 0.885 -1.001 1.309
C 1.236 0.118 -0.886
N 0.303 -0.249 0.191
H -0.592 -0.696 -0.172
H 1.303 -1.944 0.953
H 1.674 -0.781 -1.322
H 0.668 0.656 -1.642
H 0.102 -1.206 2.039
H 1.677 -0.421 1.783
H 2.032 0.754 -0.492
N -1.996 0.554 0.075
O -1.848 1.149 -1.298
H -2.004 2.093 -1.163
H -3.003 0.403 0.138
H -0.437 0.572 0.486
*
```

Lowest unoccupied orbital energy   0.711 eV
Highest occupied orbital energy   -6.82 eV
E   -266.78911 Ha
Kohn-Sham gap   7.5 eV

Atom charges from the Mulliken analysis, given in e for atoms 1 to 2: C -0.93; C -0.87


C4H6N2OS as an isolated structure. Source: OMol25; level of theory: wB97M-V/def2-TZVPD.

ORCA input file:
```
! wB97M-V def2-TZVPD RIJCOSX def2/J DEFGRID3
* xyz 0 1
C -2.518 0.037 1.289
C -0.055 0.553 -0.059
C 1.204 0.129 -0.641
C 1.696 -1.086 -1.470
H -1.866 -0.041 2.294
H -3.224 -0.980 1.257
H -3.099 1.062 1.106
H 1.493 -0.746 -2.615
H 2.949 -1.151 -0.930
H 1.237 -2.098 -1.052
N 1.465 2.004 0.534
N 2.035 1.196 -0.259
O 0.146 1.648 0.710
S -1.464 -0.527 -0.165
*
```

Lowest unoccupied orbital energy   0.442 eV
Highest occupied orbital energy   -8.64 eV
E   -738.79150 Ha
Kohn-Sham gap   9.1 eV

Atom charges from the Mulliken analysis, given in e for atoms 1 to 2: C -0.76; C 0.47


A 15-piece molecular cluster, C25H85O30P5 overall. Source: OMol25; level of theory: wB97M-V/def2-TZVPD.

ORCA input file:
```
! wB97M-V def2-TZVPD RIJCOSX def2/J DEFGRID3
* xyz 0 1
C -4.296 0.495 0.600
O -3.682 -0.669 1.091
H -5.045 0.892 1.283
H -3.590 1.288 0.344
H -4.844 0.288 -0.336
H -2.918 -0.934 0.549
C 1.423 0.311 -5.137
O 1.270 1.713 -5.210
H 1.745 0.002 -4.137
H 0.423 -0.101 -5.266
H 2.113 -0.131 -5.861
H 2.114 2.137 -4.964
C 1.025 -2.847 5.692
O 1.745 -3.658 6.661
H 1.015 -1.852 6.118
H 1.620 -2.835 4.771
H 0.074 -3.333 5.476
H 1.806 -4.557 6.332
C -2.424 1.816 3.080
O -2.219 0.383 3.299
H -1.921 2.131 2.155
H -3.481 1.966 2.818
H -2.118 2.377 3.950
H -2.766 -0.033 2.609
C -2.953 -3.225 2.962
O -1.960 -2.889 3.923
H -3.293 -2.429 2.303
H -2.635 -4.117 2.427
H -3.807 -3.562 3.568
H -1.898 -1.967 4.191
C -4.484 -1.619 -2.742
O -3.256 -1.887 -2.096
H -5.269 -1.700 -1.992
H -4.595 -0.667 -3.263
H -4.676 -2.422 -3.466
H -2.548 -1.886 -2.751
C 0.983 -7.471 1.018
O 1.308 -7.300 -0.361
H 0.884 -6.496 1.498
H 0.051 -8.035 1.190
H 1.713 -8.015 1.643
H 1.352 -8.171 -0.770
C -1.921 2.080 -5.223
O -2.952 2.410 -4.271
H -2.231 1.993 -6.268
H -1.153 2.847 -5.113
H -1.482 1.129 -4.932
H -3.190 3.331 -4.410
C 3.802 -0.281 3.386
O 3.408 -1.505 3.995
H 3.485 0.540 4.040
H 4.888 -0.168 3.355
H 3.341 -0.118 2.414
H 4.186 -1.871 4.419
C 3.846 -3.095 -0.141
O 3.397 -2.424 -1.318
H 3.775 -4.169 -0.336
H 4.872 -2.808 0.095
H 3.291 -2.807 0.760
H 2.426 -2.518 -1.307
C -2.726 -7.381 0.196
O -3.980 -6.894 0.660
P -5.243 -6.955 -0.292
O -5.327 -8.122 -1.151
O -6.359 -6.684 0.775
C -7.752 -6.722 0.474
O -5.204 -5.597 -1.122
C -5.020 -4.339 -0.445
H -2.588 -8.396 0.558
H -1.906 -6.729 0.479
H -2.712 -7.389 -0.898
H -8.286 -7.225 1.278
H -7.903 -7.369 -0.395
H -8.142 -5.721 0.325
H -5.874 -3.701 -0.656
H -4.151 -3.830 -0.872
H -4.759 -4.531 0.595
C -0.929 0.556 -1.159
O -1.176 -0.585 -0.358
P -0.128 -1.761 -0.423
O 0.516 -1.992 -1.713
O 0.862 -1.462 0.759
C 0.298 -1.242 2.060
O -0.952 -2.968 0.158
C -0.593 -4.328 0.045
H -1.662 1.324 -0.961
H -0.982 0.247 -2.198
H 0.077 0.972 -1.056
H 0.845 -1.934 2.696
H -0.744 -1.541 2.074
H 0.468 -0.207 2.325
H -1.261 -4.885 -0.605
H -0.644 -4.697 1.073
H 0.422 -4.619 -0.249
C 3.433 3.622 3.912
O 4.288 3.640 2.740
P 3.840 4.495 1.477
O 3.314 5.818 1.810
O 5.131 4.417 0.597
C 6.338 5.067 0.993
O 2.853 3.513 0.698
C 1.509 3.351 1.166
H 2.668 4.392 3.818
H 4.057 3.758 4.786
H 2.920 2.663 3.956
H 6.251 5.553 1.968
H 6.711 5.782 0.259
H 7.131 4.315 1.074
H 1.174 4.125 1.854
H 1.484 2.362 1.628
H 0.799 3.331 0.339

• What to do:
Retype only the lines further up with the word "overall" in them.

• Reply:
A 2-piece molecular cluster, C2H10N2O overall. Source: OMol25; level of theory: wB97M-V/def2-TZVPD.
A 15-piece molecular cluster, C25H85O30P5 overall. Source: OMol25; level of theory: wB97M-V/def2-TZVPD.